**Given**
No. 1
{
  "formula": "C23H26N2O3",
  "method": "ωB97M-V/def2-TZVPD",
  "gap_ha": 0.32261,
  "energy_ev": -33398.392,
  "homo_ha": -0.3191,
  "symbols": ["C", "C", "C", "C", "C", "N", "C", "C", "C", "C", "C", "C", "C", "C", "C", "O", "C", "O", "N", "C", "H", "H", "C", "C", "C", "C", "C", "C", "C", "H", "H", "H", "H", "H", "H", "H", "H", "O", "H", "H", "H", "H", "H", "H", "H", "H", "H", "H", "H", "H", "H", "H", "H", "H"],
  "xyz": [[-3.932, -0.927, -0.939], [-2.730, -0.763, -0.017], [-2.033, -2.084, 0.309], [-1.443, -2.820, -0.895], [-0.302, -2.063, -1.583], [0.814, -1.813, -0.684], [1.635, -2.841, -0.292], [1.545, -4.128, -0.843], [2.384, -5.135, -0.422], [3.341, -4.909, 0.563], [3.458, -3.654, 1.107], [2.621, -2.614, 0.687], [2.764, -1.293, 1.242], [1.976, -0.261, 0.764], [0.972, -0.506, -0.244], [0.250, 0.372, -0.722], [2.195, 1.094, 1.326], [3.025, 1.279, 2.235], [1.482, 2.094, 0.812], [1.574, 3.454, 1.278], [2.245, 3.461, 2.141], [2.003, 4.080, 0.487], [0.190, 3.996, 1.664], [-0.705, 4.055, 0.458], [-0.617, 5.123, -0.427], [-1.398, 5.159, -1.568], [-2.276, 4.124, -1.840], [-2.372, 3.058, -0.964], [-1.591, 3.024, 0.178], [-1.672, 2.188, 0.858], [-3.055, 2.247, -1.171], [-2.885, 4.151, -2.732], [-1.321, 5.997, -2.246], [0.068, 5.933, -0.218], [0.319, 4.994, 2.087], [-0.245, 3.349, 2.427], [0.805, 1.862, 0.085], [3.668, -1.127, 2.185], [3.632, -0.140, 2.437], [4.196, -3.434, 1.862], [3.987, -5.710, 0.887], [2.295, -6.114, -0.868], [0.829, -4.347, -1.617], [-0.653, -1.084, -1.914], [0.049, -2.612, -2.459], [-2.222, -3.000, -1.637], [-1.082, -3.792, -0.551], [-1.235, -1.891, 1.030], [-2.753, -2.752, 0.792], [-3.068, -0.324, 0.925], [-2.015, -0.070, -0.461], [-4.474, 0.013, -1.022], [-4.616, -1.678, -0.547], [-3.627, -1.226, -1.939]],
  "forces_ev_per_angstrom": [[0.169, 0.090, 0.153], [-0.090, -0.141, 0.000], [0.036, 0.124, -0.157], [0.122, 0.118, 0.160], [-0.460, -0.097, -0.255], [-0.151, 0.226, -0.166], [0.556, -0.200, 0.431], [-0.090, -0.020, -0.121], [-0.001, 0.094, 0.041], [0.072, -0.051, 0.046], [-0.083, 0.086, -0.053], [-0.023, -0.215, -0.036], [-0.225, 0.371, -0.094], [0.321, -0.024, 0.344], [0.111, -0.090, -0.045], [-0.033, 0.088, 0.007], [-0.231, -0.025, -0.310], [0.289, -0.153, 0.256], [-0.250, 0.153, -0.173], [0.150, 0.206, 0.392], [-0.066, 0.077, -0.171], [0.005, -0.002, 0.126], [0.240, -0.070, -0.162], [-0.096, 0.021, 0.171], [-0.012, -0.007, -0.024], [0.043, 0.082, -0.063], [-0.086, -0.028, -0.084], [-0.051, -0.034, -0.078], [-0.006, 0.066, 0.039], [0.010, -0.110, 0.084], [-0.071, -0.099, -0.024], [-0.051, 0.001, -0.062], [0.001, 0.062, -0.047], [0.071, 0.089, 0.030], [-0.026, -0.005, 0.039], [0.019, 0.039, 0.046], [0.184, -0.162, 0.085], [-0.043, 0.068, -0.061], [-0.129, -0.118, -0.145], [0.063, -0.006, 0.058], [0.066, -0.058, 0.037], [-0.027, -0.066, -0.051], [-0.101, 0.028, -0.034], [0.119, -0.222, -0.039], [0.015, 0.075, 0.043], [-0.003, -0.093, -0.064], [-0.069, -0.048, -0.091], [-0.008, -0.075, 0.090], [0.034, -0.007, 0.084], [0.050, 0.076, 0.007], [0.005, 0.068, 0.074], [-0.105, 0.055, -0.078], [-0.123, -0.087, -0.017], [-0.038, -0.049, -0.142]]
}

=====

No. 2
{
  "formula": "C23H26N2O5",
  "method": "ωB97M-V/def2-TZVPD",
  "gap_ha": 0.32296,
  "energy_ev": -37492.570,
  "homo_ha": -0.3070,
  "symbols": ["C", "C", "O", "C", "C", "C", "C", "C", "C", "N", "C", "O", "C", "H", "H", "O", "C", "O", "C", "H", "C", "N", "C", "O", "C", "H", "H", "C", "C", "C", "C", "C", "C", "C", "H", "H", "H", "H", "H", "H", "C", "H", "H", "H", "H", "H", "H", "H", "H", "H", "H", "H", "H", "H", "H", "H"],

**Wanted**
What is needed: write out only the lines earlier on with the word "energy_ev" in them.

**Result**
  "energy_ev": -33398.392,
  "energy_ev": -37492.570,